I'm interested in a lot of things, and I try to make a point of learning from people who do different things from what I do, and do them using different methods from those I use. I tend to follow an approach that starts by looking in detail at small empirical problems in order to get grip on larger theoretical issues. A recurring theme in my work has been the grammatical footprint of the type/token distinction. Here is a list of some projects that I have been involved in:
**Attached: calculated molecules**
-- begin --
No. 1
Density functional theory data (ωB97M-V/def2-TZVPD) for 11 unconnected molecules or ions with the total composition C40H66N4O19S7 in a non-equilibrium geometry.

Computed properties:
**E_LUMO**: -0.7 eV
**HOMO level**: -8.65 eV
**Calculated total energy**: -163242.812 eV
**Gap between HOMO and LUMO**: 7.931 eV

Element x y z (Å)
1 O 15.3606 21.8904 12.1907
2 S 14.3559 22.3066 11.2944
3 O 14.6271 22.2121 9.8915
4 O 12.9360 21.6300 11.6855
5 C 12.8711 20.1545 11.4712
6 C 11.4011 19.8312 11.7838
7 C 13.8030 24.0615 11.7335
8 H 13.6235 19.6830 12.0919
9 H 13.1558 19.9201 10.4290
10 H 10.8009 20.5699 11.3032
11 H 11.2330 19.9929 12.8371
12 H 11.1047 18.8160 11.5077
13 H 14.0818 24.4092 12.7307
14 H 12.7866 24.3078 11.5275
15 H 14.3218 24.6771 11.0023
16 O 15.2171 12.4590 11.1876
17 S 15.1122 12.9712 9.8389
18 O 15.8572 14.0813 9.3622
19 O 15.3573 11.7891 8.7426
20 C 15.1541 10.4158 9.1167
21 C 16.4626 9.7503 9.5350
22 C 13.4631 13.3533 9.5529
23 H 14.5503 9.9509 8.3219
24 H 14.4917 10.3494 10.0103
25 H 17.2531 9.9402 8.7472
26 H 16.2134 8.6516 9.6674
27 H 16.8679 10.1732 10.4335
28 H 13.3963 13.5036 8.4815
29 H 13.3267 14.3626 10.0938
30 H 12.8093 12.6095 9.9861
31 C 13.4187 24.4208 16.8474
32 C 14.3487 24.1091 15.8525
33 C 14.2053 22.8946 15.1845
34 C 13.1719 22.0683 15.5297
35 C 12.2606 22.3491 16.5466
36 C 12.3999 23.4928 17.2277
37 N 13.1199 20.7148 14.9578
38 O 13.9957 20.4287 14.1585
39 O 12.2236 19.9822 15.3355
40 H 13.5632 25.3389 17.4292
41 H 15.1589 24.7762 15.6950
42 H 14.9183 22.5445 14.3949
43 H 11.6602 21.5335 16.8427
44 H 11.7855 23.7643 18.1020
45 C 10.6465 17.4179 15.2116
46 C 9.7244 17.2813 14.1813
47 C 9.8943 16.1771 13.3229
48 C 10.9108 15.2782 13.5234
49 C 11.7888 15.3888 14.5742
50 C 11.7470 16.5579 15.3030
51 N 10.9991 14.0849 12.7050
52 O 11.6755 13.1699 13.0963
53 O 10.2748 14.1071 11.7262
54 H 10.6193 18.2379 15.9118
55 H 8.9378 17.9736 14.0878
56 H 9.2554 16.0166 12.4714
57 H 12.4233 14.4875 14.7352
58 H 12.5166 16.7116 16.0401
59 C 11.4758 16.7220 8.9371
60 C 12.2851 17.0794 7.9000
61 C 13.5703 17.4580 8.2051
62 C 14.0458 17.4767 9.5095
63 C 13.2504 17.1586 10.5732
64 C 11.9741 16.7098 10.2346
65 N 15.4246 17.8331 9.7642
66 O 15.7486 18.2711 10.8531
67 O 16.1663 17.7561 8.8161
68 H 10.4662 16.3447 8.7624
69 H 11.8878 17.1181 6.8865
70 H 14.1679 17.7797 7.3360
71 H 13.7654 17.0409 11.5217
72 H 11.3388 16.3030 11.0241
73 C 13.2791 11.4576 15.7880
74 C 13.7115 10.7022 16.9050
75 C 15.0046 10.2054 16.9085
76 C 15.8428 10.4776 15.8331
77 C 15.4825 11.2366 14.7969
78 C 14.1663 11.7476 14.7019
79 N 17.2541 9.9931 15.8708
80 O 18.0694 10.3752 15.0318
81 O 17.4524 9.0402 16.5984
82 H 12.2130 11.6923 15.7290
83 H 13.0131 10.4157 17.6870
84 H 15.3595 9.6866 17.7839
85 H 16.2137 11.4551 14.0760
86 H 13.9839 12.3606 13.8472
87 C 18.1832 20.4162 17.9956
88 S 16.5808 20.7656 18.6286
89 O 16.1664 22.0634 18.1315
90 C 15.5780 19.6007 17.7007
91 H 17.9742 20.9323 17.0590
92 H 18.5246 19.3311 17.9980
93 H 18.9238 21.0083 18.5181
-- stop --
**The article goes on**
2023-: Construction in the Formal Sciences (C-FORS). I am a collaborating researcher on this ERC Advanced Grant led by philosopher Øystein Linnebo (University of Oslo). This project will develop a new foundation for the study of intensional entities, e.g. propositions and properties, where a variety of paradoxes still arise. It addresses the limitations of current approaches by building on Linnebo’s potentialist metaphysics and philosophy of mathematics, and by utilizing new theoretical tools inspired by constructive mathematics. My role is to co-supervise a doctoral thesis that applies the theoretical innovations of the project to challenges in formal semantics.
2021- : Contextual effects in the choice of referring expressions for visually presented entities (AEI, PID2020-112602GB-I00, co-PI Gemma Boleda). People use language to talk about the world, that is, to refer; accordingly, language offers a very rich set of resources for reference. For example, in any given context, a speaker can choose between a more or less specific expression (the dog, the small dog, the chihuahua), or between expressions that convey complementary information about the referent (the woman, the skier). Which referring expression (RE) a speaker chooses on a given occasion depends on various semantic and pragmatic factors. The theoretical goal of the CORE project is to contribute to better understanding the following specific factors and their interaction in RE choice in context: the set of general principles that intervene in efficient communication, the contextually salient properties of the entity being referred to and features of its immediate environment that influence successful reference, and the implicit semantic organization of RE alternatives and the conventionalized division of labor between them, especially organization based on implicative semantic relations and alternative cross-classifications which highlight different properties of the referred to entities (e.g., woman vs. skier, or variation in the use of noun classifiers in languages such as Mandarin Chinese). Our empirical goal is to study RE choice under more naturalistic conditions than has previously been done. To combine these two broad goals in a single, feasible project, we make the practical decision of centering our attention on reference to single physical entities in visual contexts. We takes as an empirical starting point the ManyNames dataset, the result of a large-scale collection of RE choices for naturalistic images (Silberer et al. 2020).
2020- : Scales in language processing and acquisition (SPA). I'm a Mercator Fellow (together with Ira Noveck) associated with Nicole Gotzner's Emmy-Noether Group at the University of Osnabrück. SPA focuses on the interpretation of scalar expressions and the determination of scalar alternatives, particularly in relation to implicature. The project has both a psycholinguistic and acquisition component.
2018-2021: OASIS: Ontology as Structured by the Interfaces with Semantics. This CNRS-funded research network, led by Bridget Copley and Isabelle Roy, is based on the idea that there is a formal semantic ontology whose precise characterization is still to be discovered, not only through methods of model-theoretic semantics and philosophy, but also through syntactic theory and cognitive psychology. The project organizes an annual conference of the same name.
2014-2020: Connecting Conceptual and Referential Models of Meaning (MINE(I)CO, FFI2013-41301-P, FFI2016-76045-P). The overall goal of this project was to take a fresh look at the articulation between conceptual and referential aspects of natural language meaning, based on the empirical results that were obtained in my previous Spanish projects. In many classic references and textbooks on semantics, the views of meaning as involving a semiotic relation to something in the mind (hereafter, the conceptual view) vs. a relation to things in the world (the referential view) are presented in opposition to each other. While this opposition has long been acknowledged to be an oversimplification, in practice, each view has spawned distinct research communities, the interaction between which has historically been rather limited. We started from the hypothesis that both conceptual and referential aspects play a crucial role in meaning composition. Though by itself not a new hypothesis (similar views are relatively explicit e.g. in certain sectors of Discourse Representation Theory and in the Conceptual/Procedural Meaning distinction in Relevance Theory), the novelty of the project lay in 1) the incorporation of a distributional semantic perspective and 2) the use of diachronic evidence, still a very infrequent method in compositional semantic analysis.
2014-2018: MINECO Thematic Excellence Network Meaning and Grammar (MINECO, FFI2014-51675-REDT, FFI2016-81750-REDT). The goals of this network, which included researchers from UPF, the Universitat Autònoma de Barcelona, the Universidad de Alcalá de Henares, and the University of the Basque Country, were to promote research activities in the area of the semantics and pragmatics of natural language, to improve training at the graduate level in this area, and to strengthen the critical mass of semantics and pragmatics researchers in Spain, while at the same time raising the visibility and relevance of our research beyond the boundaries of linguistics.
2011-2012: A distributional semantic model for fully recursive phrasal meaning (MICINN, FFI2010-09464-E). No existing theory of how meaning is expressed via human language takes into account yet both the full richness of conceptual content and the recursive, structural aspects of meaning. The goal of this project was to take a qualitatively different step towards accomplishing this task by combining in a novel way the insights of two radically different approaches to meaning: that of formal semantics and the growing field of distributional semantics. Since the two paradigms have complementary strengths and weaknesses, in drawing on both of them the aim was to overcome their individual limitations. This was a pilot project whose empirical focus was on combining the semantics of nouns, adjectives and determiners. This is an area of research I have continued to develop in later projects, though my overall approach and perspective have evolved since.
2009-2013: Experimental Pragmatics in Europe (EURO-XPRAG). EURO-XPRAG was an ESF-funded network proposed by Ira Noveck (CNRS/Lyon), Richard Breheny (UCL), Bart Geurts (Nijmegen) and Uli Sauerland (ZAS-Berlin), with participants from 12 countries. The network aimed to support Experimental Pragmatic research through collaborations, workshops and conferences in order to provide leadership for this field. Topics of interest included implicature, metaphor, conditionals, and the expression of quantity, among others. EURO-XPRAG organized yearly workshops and biennial conferences. UPF hosted the 2011 conference. This project continued under the auspices of the DFG Priority Program
2007-2013: Natural language ontology and the semantic representation of abstract objects (MEC, HUM2007-60599/FILO, MICINN FFI2010-15006). An essential part of human communication involves reference to abstract objects such as facts, propositions or situations. The goal of OntoSem was to make progress on a natural language ontology, together with a system of lexical semantic representations and compositional semantic rules, which would permit a semantic analysis of nominalizations and other nouns referring to these abstract objects. In addition to contributing to semantic theory, the project also aimed to improve our understanding of the relation between the semantics of nouns and morphologically related verbs and adjectives, as well as of nominal complementation and modification. As part of this project involved a diachronic study of participles in Spanish, project participants Josep M. Fontana, Gemma Boleda, Cristina Sánchez Marco, Eva Bofias, and Toni Bassaganyas, with the support of Andrés Chandía, adapted the Freeling suite of tools for contemporary Spanish to the tagging of Old Spanish; they have since also used the same strategy to adapt the Freeling suite for contemporary Catalan to Old Catalan. Learn more about the adaptation of the tools, the corpora we have tagged, and how to access them here.
I'm also a member of UPF's Formal Linguistics Research Group GLiF, a consolidated research group recognized by the Generalitat de Catalunya (2021SGR00947, 2017SGR1478, 2014SGR698, 2009SGR00763, 2005SGR00067 (the latter two as part of the larger unit UR-Ling)).